Sunday 22 February 2009

Quick post!

I haven't had much time on the car this week, even though I was hoping to have made some more progress.

I swapped over the starter motors (from turbo engine to this one) as that already on new engine had a slightly different layout which resulted in the solenoid sticking out too far towards exhaust. Putting the other on on has given me another couple of inches. Which is nice.

I also got round to putting the alternator bracket on (again from the old engine) as I want it nice and low and out of the way, but as usual, there's always a spanner in the works. In this case , it's the water pump/timing chain cover. I think it's one of them intermediate type covers, but the result is that the alternator and waterpump/crank pullies don't line up. I'll take the easiest fix, and remove half an inch from the alternator bracket. Using the new engine's pullies actually gives me about and extra inch of space at front of engine, so that might help for something.

I've plugged the loom into all the sensors on the engine, but have so much wiring, I'm going to have to strip the covering off the loom and go through it to see what I need and what I don't.

I fitted the turbo exhausts to the new engine, but might try and use the new engines manifolds as they will probably flow better.

I'd like to say I hope to make a bit more progress this week, but we have a bit of a rush coming up at work, so I'll be working Monday and Wednesday evenings, swimming on Tuesday which might leave Thurs/Friday if I'm not too tired.

Anyway, till next weekend, I guess


Sunday 15 February 2009

Pics, pics and er, pics

Ok, as promised, a quick update in pictoral form - and apologies in advance, some are a bit rubbish!

I didn't get a chance to do any work on the car today - needed to get my swimming fix in, then took some rubbish to the dump, then went out for lunch at the sailing club and finally, got home and cleaned the inside of my bus:
which took the best part of 2 hours!!!!! Well, theres a lot to clean:D

Anyway, back to toy car, this (rather dark/dull and out of focus) pic was taken the evening before the new engine installation and the lighting is quite poor. It's only an empty engine bay, so hardly worth getting excited about.

This is a pic of how far I got installing the new fuel return line. You have to bear in mind the aggro it took to get this baby down the transmission tunnel and my reluctance to start bending it (by hand) to the correct shape. I'm sure it'll be ok once I get started though.

As you can see, this is a pic of the engine, now in situ. Notice it still has the three inch high flame trap - which won't fit under the bonnet. Easy fix, as I have a flat takeoff on the other engine that I'll fit to this engine, which will allow me to lay this one down, and out of the way.

Here' a pic of the engine in situ, from the front - thinking my bonnet is going to need quite a bit of hacking around to get that plenum to fit, and the airflow meter and the air filter:D

Anyway, that little lot should be enough to keep you amused till next weekend, when I hope to have

a) done the return fuel line - meaning bent to shape, connected to fuel tank and "P-clipped" into place

b) got the fuel injection pipes connected to fuel line

c) got ecu and engine wiring into place

d) got the alternator mounted

e) maybe one or two other jobs too.

Detling KitCar Show in about 10 weeks!

Till next time


Saturday 14 February 2009

It's in, it's in, it's in...mostly

Just a quick note to let you know how today went - will be more tomorrow, but mostly pics.

The page is interrupted by data records:
┌──
This record from the Open Molecules 2025 dataset describes the ion C6H9NP with charge +1 in a non-equilibrium geometry. The level of theory is ωB97M-V with the def2-TZVPD basis set.

```
17
Properties=species:S:1:pos:R:3:nbo_charge:R:1
C -3.38 -1.65 -1.43 -0.6520
C -2.38 -0.70 -0.84 -0.0036
C -1.03 -0.66 -0.88 -0.2971
C -0.16 0.27 -0.28 -0.2332
C 1.06 0.00 0.03 0.4682
N 2.22 0.11 0.56 -0.7558
P 3.66 0.04 1.17 1.2226
C 3.83 1.72 1.92 -1.0390
H -2.98 -2.51 -1.87 0.2237
H -4.14 -1.98 -0.78 0.2501
H -3.86 -0.98 -2.15 0.2456
H -3.02 0.18 -0.59 0.2047
H -0.59 -1.43 -1.35 0.2129
H -0.61 1.09 0.36 0.3010
H 3.29 1.92 2.88 0.2918
H 3.24 2.55 1.21 0.2808
H 4.87 2.03 2.04 0.2791
```

Summary:
- HOMO (alpha / beta): -12.66 / -12.66 eV
- Structure (SMILES): C/C=C/C=C=[N+]=PC
- Charge: +1
- HOMO-LUMO gap (alpha / beta): 6.73 / 6.73 eV
- E_LUMO (alpha / beta): -5.93 / -5.93 eV
- Relative energy (zero: lowest compared OMol25 entry of this formula, charge and spin): 57.9 kJ/mol

~~~~~

Below is C4H5MnO2 as an isolated structure in a non-equilibrium geometry, with properties calculated with ωB97M-V with the def2-TZVPD basis set.

⟨S²⟩: 8.7663
Maximum force (eV/Å): 4.59
Charge: +1
Gap between HOMO and LUMO (alpha / beta) (eV): 6.169 / 6.066
M (g mol⁻¹): 140.0
ΔE to the lowest compared entry with this formula, charge and spin (kcal/mol): 17.38
DFT total energy (a.u.): -1456.46493
E_HOMO (alpha / beta) (eV): -12.93 / -12.93
2S+1: 6

Each line ends with the Löwdin spin population.
Cartesian coordinates (Å):
1 H 2.96142 -1.42180 0.08134  0.000
2 O 2.00861 -1.46825 0.19683  0.001
3 C 1.42593 -0.27665 -0.28684  0.003
4 C -0.03901 -0.32441 -0.13502  0.012
5 C -1.13558 -0.92604 0.21672  0.010
6 H 1.66376 -0.11851 -1.35401  0.000
7 H 1.80313 0.60609 0.25894  0.000
8 H -1.62830 -1.78284 0.66560  0.002
9 C -1.31710 0.56631 -0.17750  0.051
10 O -1.43556 1.56494 0.74942  0.253
11 Mn -2.64185 2.77587 0.98133  4.661
12 H -1.66543 0.80529 -1.19681  0.008
└──

First thing that I needed to do this morning was to get a new gasket for the oil pump cover remote take off.

Jump in car, drive to local (non franchised) Land Rover showroom/service and parts place) and ask if they have a gasket. Bear in mind this engine appears in about 80% of the vehicles they deal with, and, they haven't got one!

Jump in car, drive to PWMC (local spares shop mentioned elsewhere on here) and see one of the folks in there. Ask if they have any gasket paper, to be presented with a roll of the stuff.

Paul then came over to give me a hand for the day, and once the pump cover had been swapped over and the return fuel line loosely fitted down tunnel, it was time to chuck in the engine. With a little wiggle here and there, and the removal of the LR positioned alternator and the water pump tensioner wheel (which won't be needed as alternator will be repositioned back to bottom left of engine), we eventually got the engine in the car.

Plenum sits a fair bit higher than old one (which had had about an inch machined off), so I'll have my work cut out over the next couple of weeks getting the bonnet modified (yet again!), sorting the plumbing and the wiring.

Then paint, MOT and tax and away we go.

As mentioned earlier, another post tomorrow which will be mostly pics.


Friday 13 February 2009

New Dawn starts later.. like morning!

Last night (being Thursday, this being Saturday morning - with me so far!), I attached the flywheel and clutch to the new engine and removed the engine mountings from 3.9 engine.

This evening (being Friday:) I started cleaning up the remote filter housing ready for installation to new engine and guess what?

The pressure release valve was sticking. Needless to say, I'm quite relieved in a way that it was something simple. That solves the low pressure issue. Still, it's fairly irrelevant now, I'll just have to keep an eye on oil pressure. Cleaned it all up and ressembled it and it seems ok. Fingers crossed.

When the turbo engine goes into the next project, the chassis will be designed around it, so I can revert, for the most part, to standard production items - such as the orginal filter takeoff.

Anyway, I got the new engine home and it's sitting on the garage floor. First thing in the morning, I have to go and get a new oil pump gasket, then swap over the remote takeoff, drain engine oil and remove some of the useless bits of engine compartment ventilation and side mounted air filter housings.

I'll also need to get some "P-clips" and get the other fuel line in (going down the transmission tunnel, next to existing one) while engine is still out - no I haven't done it yet.

When that's all done, we (a friend is coming over to help) can get the engine in.

Then starts the wiring rehash, locating the ecu and airflow meter etc etc. I know I could use the Emerald, but I'm going to stick with the Land Rover bits as far as possible.

Anyway, won't say anymore, or there'll be no point reading the next exciting instalment.

Will there:D

Till tomorrow (or this evening, as the case may be)


Tuesday 10 February 2009

Can't think of one!

No progress on the car today - I wasn't expecting much, anyway.

Would say though, that all this activity is going on in a single car garage which is rather full up. Having the turbo engine lying around is creating problems - so this evening I knocked up a bogey (1 1/2" SHS frame, 1/2" ply sheet and some 2 1/2" wheels), so I can move the thing around.

Tomorrow, I'll get the old engine onto that, then I can move car onto driveway and give engine bay a though clean.

Next job is to get the return fuel line in and replumb the fuel lines in the boot (ie remove the pressure regulator as now surplus to requirements).

Also tomorrow, I'll try and get the auto box bits and pieces removed from the new engine so I can put on the flywheel and clutch. If I'm lucky the new flywheel bolts and spigot bush will arrive.

Need to order some stainless bends for exhaust. Aaargghhh, forgot that!

Then we should be ready for the big instal on Saturday morning. Need to be as engine crane has to go back Sat PM

Anyway, more tomorrow hopefully.


Monday 9 February 2009

Few bits....

Just a very quick update!

Phoned Rimmer Bros today and ordered some flywheel bolts and a new spigot bush - not sure if that's actually required as I haven't taken the auto drive plate off the new engine yet, but for the sake of a couple of quid, decided it would be worth having.

It occurred to me this evening, after I'd removed the flywheel about the sense in getting a new thrust bearing and complete clutch. The old stuff seems in reasonable nick, so probably not worth the expense; or is it....

Time will tell I guess.

Also removed the take off plate for the Mocal remote filter assembly, which will also need to be transferred to the new engine, and while I'm at it, I removed the starter motor.

Tomorrow, well later today (being Tuesday already), I'm planning on removing the auto box parts from the new engine and going to finish cleaning the engine.

Anyway, that's it for tonight. More Wednesday hopefully.


Sunday 8 February 2009

Delays and ....... well, more delays

Right, last night (before I posted on here), I'd been in the garage looking at the car thinking hmmm, "Can I really be bothered?", knowing full well that if I'm to get the car back on the road, this is the only way forward.

So, knowing that last night, I made a gentle start - looking at what needed to be undone (bearing in mind that with the turbos, the engine was a bit wider than standard) and starting to undo manifolds, disconnect the ecu and remove wiring etc etc.

Records of molecules, as found in the file >
┌──
{
  "formula": "C24H36AsClCrGeO2S4Sb",
  "method": "ωB97M-V with the def2-TZVPD basis set",
  "species": ["Cr", "Cl", "C", "C", "C", "C", "O", "C", "C", "O", "C", "H", "H", "H", "H", "S", "Sb", "S", "S", "S", "C", "As", "C", "C", "C", "C", "C", "C", "C", "C", "H", "H", "H", "H", "H", "H", "H", "H", "H", "H", "H", "H", "H", "C", "C", "C", "C", "Ge", "C", "C", "C", "C", "H", "H", "H", "H", "H", "H", "H", "H", "H", "H", "H", "H", "H", "H", "H", "H", "H", "H", "H"],
  "positions_angstrom": [[0.32805, 0.88545, 0.12363], [-1.79646, 5.86835, 5.03352], [-1.50824, 4.51633, 3.97596], [-2.48437, 3.50860, 3.86527], [-2.28949, 2.41906, 3.06174], [-1.10127, 2.26579, 2.30526], [-0.95169, 1.19485, 1.58859], [-0.14648, 3.31094, 2.39914], [1.03019, 3.32406, 1.59322], [1.32764, 2.48948, 0.72981], [-0.36151, 4.41997, 3.25218], [-3.40438, 3.61009, 4.42752], [-3.04074, 1.64405, 2.98243], [1.73579, 4.15410, 1.71908], [0.39305, 5.19571, 3.31433], [0.74355, 2.76145, -4.71913], [1.27573, 2.74530, -2.55741], [-1.02912, 2.35680, -1.30955], [1.77126, 0.55900, -1.70773], [2.34136, 4.45254, -1.59700], [1.72516, -2.33532, 1.28735], [1.94944, -0.42349, 1.49238], [1.85785, -0.24381, 3.41343], [3.82912, -0.06496, 1.13985], [4.72374, -1.20568, 1.51611], [5.36892, -1.22496, 2.74913], [6.19408, -2.28558, 3.10306], [6.38536, -3.34016, 2.22235], [5.75428, -3.32467, 0.98298], [4.93115, -2.26538, 0.63392], [2.46227, -2.88222, 1.87047], [1.81962, -2.59771, 0.23533], [0.71887, -2.58316, 1.62160], [2.58811, -0.91196, 3.86649], [0.85677, -0.50298, 3.74990], [2.07157, 0.78429, 3.69853], [4.05352, 0.82882, 1.72120], [3.90188, 0.19814, 0.08782], [5.23443, -0.39507, 3.43495], [6.69437, -2.28110, 4.06346], [7.02854, -4.16702, 2.49510], [5.91067, -4.13678, 0.28390], [4.45547, -2.24761, -0.34086], [-4.83359, -3.48728, -1.19079], [-4.31111, -2.10398, -1.55662], [-3.70081, -1.37504, -0.36267], [-3.19263, 0.03808, -0.67151], [-1.50685, 0.19971, -1.59644], [-1.05843, -0.93973, -3.04985], [-1.38875, -0.34012, -4.42103], [-2.76019, 0.32465, -4.49739], [-2.99285, 1.00664, -5.83822], [-5.30678, -3.97760, -2.04263], [-5.57342, -3.42752, -0.38877], [-4.02305, -4.13278, -0.84295], [-5.12558, -1.49464, -1.96036], [-3.57644, -2.19769, -2.35639], [-2.89484, -1.97955, 0.07142], [-4.46920, -1.30187, 0.41323], [-2.99639, 0.59687, 0.24396], [-3.93093, 0.60357, -1.24881], [-0.56015, -0.51832, -0.31075], [-1.64459, -1.84213, -2.85655], [-0.00531, -1.17932, -2.93604], [-1.34278, -1.14608, -5.16049], [-0.62365, 0.38877, -4.68885], [-2.84117, 1.08536, -3.70786], [-3.54788, -0.41309, -4.30448], [-2.21553, 1.75098, -6.02197], [-3.96002, 1.51048, -5.87427], [-2.96515, 0.27802, -6.65220]],
  "e_lumo_ev": [-0.74, -1.25],
  "s_squared": 3.8067,
  "de_lowest_kcal_mol": 18.1,
  "multiplicity": 4,
  "homo_energy_ev": [-7.81, -7.82],
  "gap_ha": [0.2598, 0.2415]
}

~~~~~

Formula: C7H7N3O2
Source: the OMol25 dataset
Level of theory: ωB97M-V/def2-TZVPD

Calculated values
- LUMO (eV) = 0.175
- Kohn-Sham gap (eV) = 8.111
└──

So, to today. The intention was to get up early, go for a swim then make a start.
In reality, I got up about 9.30, and was giving the idea of not going swimming some serious thought. Guilt eventually got the better of me, so off I went. And did about 50 lengths, without dieing, which was nice.

On the way home I popped into Paddock Wood Motorists Centre (been getting stuff from them since the early 80's!! and borrowed (alright, hired) their engine crane for the week. It's bloomin' heavy and the idea of putting it into and removing it from my car twice didn't appeal, so I got it for the week.

Then got home and wife made me go shopping with her and the boys, which ended up with us having lunch at the Nutmeg Tree in the Victoria Centre in T/Wells. Can't recommend the place enough (been having meals in there for about 8 years, and am always happy with service and food). Alas, I digress.

[Inserted here: calculated molecules]
********
1.
This record from OMol25 describes an isolated molecule of C23H24N2O6. The level of theory is ωB97M-V/def2-TZVPD.

The calculation puts the max |F| at 0.63 eV Å⁻¹. The value obtained for the energy above the lowest of the compared OMol25 structures with the same formula, charge and spin is 24.83 kcal per mole. Its SMILES is CCCOc1ccc(C(=O)CCC(=O)OCC(=O)N2CC(=O)Nc3ccccc32)cc1. The value obtained for the orbital gap is 8.625 eV.

Atoms and positions in Å:
C1 1.68260 1.50168 -5.25043
C2 1.22953 1.83438 -3.83542
C3 -0.13589 2.52536 -3.84187
O1 -0.58069 2.86721 -2.54150
C4 -1.07448 1.91488 -1.71974
C5 -1.36349 2.33651 -0.41582
C6 -1.84591 1.44775 0.51166
C7 -2.10665 0.11705 0.16480
C8 -2.61051 -0.78523 1.21293
O2 -2.33193 -0.61224 2.38457
C9 -3.51148 -1.93776 0.79583
C10 -2.89275 -3.27614 1.22858
C11 -1.56461 -3.43519 0.52477
O3 -1.41652 -3.49464 -0.66602
O4 -0.56296 -3.45824 1.41171
C12 0.76997 -3.44295 0.91349
C13 1.31441 -2.02227 0.69919
O5 1.88441 -1.75227 -0.33691
N1 1.13251 -1.13237 1.70850
C14 0.60883 -1.46443 3.01988
C15 1.51101 -0.97937 4.14690
O6 1.66252 -1.58166 5.18399
N2 2.09778 0.21575 3.89782
C16 1.97922 0.90018 2.69164
C17 2.35667 2.23248 2.59931
C18 2.27182 2.89610 1.38919
C19 1.80957 2.22825 0.26905
C20 1.42845 0.90050 0.35262
C21 1.50937 0.22280 1.55976
C22 -1.83446 -0.29586 -1.13803
C23 -1.31056 0.58421 -2.06427
H1 2.65539 1.01839 -5.22769
H2 1.75909 2.40483 -5.85183
H3 0.97685 0.82815 -5.73172
H4 1.17974 0.92116 -3.23960
H5 1.95424 2.49865 -3.36070
H6 -0.88113 1.90979 -4.35953
H7 -0.06307 3.48351 -4.36456
H8 -1.17933 3.36734 -0.15903
H9 -2.04682 1.76712 1.52324
H10 -4.46399 -1.81009 1.31511
H11 -3.69176 -1.93451 -0.27707
H12 -3.55230 -4.09520 0.93971
H13 -2.73276 -3.28672 2.30613
H14 0.80894 -3.94174 -0.06048
H15 1.38811 -3.98722 1.63248
H16 -0.37512 -0.98904 3.15292
H17 0.47802 -2.53672 3.13917
H18 2.62990 0.64462 4.64385
H19 2.72325 2.73857 3.48035
H20 2.57019 3.93096 1.32364
H21 1.73711 2.74196 -0.67619
H22 1.07577 0.38224 -0.52150
H23 -1.97048 -1.32548 -1.43102
H24 -1.08565 0.21500 -3.05184

Löwdin atomic charges, in units of e:
1 C -0.10
2 C -0.23
3 C -0.20
4 O -0.04
5 C -0.27
6 C 0.00
7 C 0.00
8 C -0.15
9 C -0.35
10 O 0.08
11 C -0.09
12 C -0.06
13 C -0.48
14 O 0.13
15 O 0.00
16 C -0.05
17 C -0.39
18 O 0.09
19 N 0.05
20 C -0.02
21 C -0.44
22 O 0.08
23 N 0.16
24 C -0.16
25 C -0.02
26 C -0.08
27 C -0.08
28 C -0.01
29 C -0.11
30 C -0.01
31 C 0.00
32 H 0.07
33 H 0.07
34 H 0.07
35 H 0.10
36 H 0.11
37 H 0.12
38 H 0.13
39 H 0.13
40 H 0.12
41 H 0.13
42 H 0.11
43 H 0.13
44 H 0.13
45 H 0.14
46 H 0.14
47 H 0.13
48 H 0.13
49 H 0.16
50 H 0.11
51 H 0.10
52 H 0.10
53 H 0.10
54 H 0.10
55 H 0.11

2.
This record from OMol25 describes the ion C10H10ClN2O with charge +1 in a non-equilibrium geometry. The level of theory is ωB97M-V/def2-TZVPD.
********

Eventually, got home and made a proper start, undoing offside exhaust manifold, disconnecting water feeds (more to allow easier access to other nuts and bolts), undoing oil feeds and undoing engine mountings (yes, after I'd attached the crane).

I then spent the next three hours trying to remove engine only to continuously find I needed to undo other things - and finding one bolt on belhousing I hadn't undone. Duh.

Anyway, it's out!

So now I have to clean up the engine compartment of oil, crap, dust and dirt and transfer clutch bits onto the new engine. Which reminds me, I need to get a new spigot bush and new flywheel bolts (from Rimmer Bros).

That's it for today, will post updates during the week.


Saturday 7 February 2009

Quick post - with pics. Aren't you lucky:D

This is what I collected from the nice chap near Battle

And this is the important bit - just after I'd made a start degreasing - but having run out of degreaser/got cold etc etc. Most of the crap is off though. Might have to make some exhausts. Again!

I'm now going to go and start taking Deimos apart, so you might be lucky and have more pics tonight or tomorrow.

I forgot to say, and I'm sure you'll be over the moon to hear this; I bought a bicycle and got round to riding it to work this morning. It's only three miles, but about a mile is a 1/10 hill and the mile before is a gentle uphill gradient, so, if there's no more updates this weekend, it's cos I'm too knackered to do anything. Oh yeah, and I'm gonna swim a mile or so in the morning. Finally decided to do something about my couch potato tendencies:D

Till later, tomorrow or next weekend (when the new engine will be going in!!!!!)


Thursday 5 February 2009

A New Start, perhaps

Just a quick post to let you know that I got my new engine last night. It's a 3.9l V8 from a 1994 Range Rover Classic (about 200bhp). It's done about 80,000 miles and has had the top end done.

I found it on ebay, having just flagged up about 15 Range Rovers that were potential donors, I came across an ad for, well, all the running gear (axles/box/transfer box, complete loom, ecu, pump - all I need and more).

Phoned the chap up, sounded nice enough, asked if he'd split as I only needed engine/ecu/loom and pump and he said he'd prefer not to. Anyway, I now have a load of stuff to sell - which, if I'm lucky will ensure I get the engine for not a lot. Maybe even free, which would be nice!

So, this weekend, it all kicks off. I'm going to try and remove the turbo'd engine, then swap over the flywheel and clutch assembly, move the alternator to the new engine (to the correct position), then plan on installing it the following week.

While the engine is out, I'll have a quick tidy up in the engine compartment, and get the other fuel line installed.

So, till then then, with pics hopefully.
